# Data
=====
1.
This record from the Open Molecules 2025 dataset describes C34H33Br3CdF4N8O2P as an isolated structure. The level of theory is ωB97M-V with the def2-TZVPD basis set.

Results
- total energy (Eh) = -10534.5253
- frontier orbital gap (eV) = 7.48

```
! wB97M-V def2-TZVPD RIJCOSX def2/J DEFGRID3
* xyz 1 1
Cd 0.42 0.01 -0.40
C 3.83 -0.17 -1.31
C 3.73 -0.16 0.18
C 4.89 -0.12 0.98
C 4.78 -0.11 2.34
C 3.50 -0.13 2.94
C 3.27 -0.16 4.34
Br 4.72 -0.13 5.56
C 2.00 -0.24 4.82
C 0.90 -0.26 3.95
Br -0.83 -0.48 4.67
C 1.03 -0.17 2.57
O 0.02 -0.16 1.76
C 2.39 -0.14 2.07
N 2.54 -0.16 0.72
H 4.77 -0.59 -1.65
H 3.75 0.85 -1.70
H 3.01 -0.75 -1.74
H 5.87 -0.12 0.51
H 5.65 -0.09 2.97
H 1.82 -0.30 5.89
F -7.45 -0.61 1.45
C -6.27 -0.13 1.07
C -5.98 1.21 1.22
F -6.89 2.03 1.74
C -4.75 1.70 0.82
F -4.55 3.01 0.93
C -3.77 0.87 0.28
P -2.13 1.52 -0.25
C -2.63 2.43 -1.76
C -2.53 1.71 -2.95
C -2.91 2.27 -4.15
C -3.39 3.57 -4.19
C -3.51 4.29 -3.01
C -3.15 3.72 -1.80
C -1.71 2.74 1.03
C -1.14 3.97 0.73
C -0.68 4.80 1.74
C -0.76 4.40 3.07
C -1.31 3.16 3.37
C -1.77 2.33 2.36
C -4.10 -0.48 0.11
Br -2.90 -1.68 -0.71
C -5.32 -0.97 0.51
F -5.63 -2.26 0.35
H -2.16 0.69 -2.91
H -2.85 1.69 -5.07
H -3.69 4.02 -5.13
H -3.92 5.30 -3.03
H -3.29 4.28 -0.88
H -1.05 4.30 -0.30
H -0.26 5.77 1.50
H -0.41 5.05 3.86
H -1.36 2.83 4.40
H -2.15 1.35 2.62
C -0.15 -0.39 -5.33
N 0.29 0.91 -4.85
C 0.50 1.98 -5.81
C 0.48 1.07 -3.52
N 0.45 0.11 -2.66
N 0.69 2.40 -3.14
C 1.00 2.94 -1.90
N 1.18 4.30 -1.97
N 1.05 2.26 -0.82
H -0.46 -0.30 -6.36
H -1.00 -0.75 -4.75
H 0.65 -1.14 -5.28
H 0.52 1.55 -6.81
H 1.46 2.48 -5.65
H -0.31 2.72 -5.79
H 0.37 -0.80 -3.10
H 0.36 3.07 -3.81
H 1.49 4.71 -2.83
H 1.49 4.76 -1.14
H 1.30 2.82 -0.02
C -0.15 -5.60 0.51
N 0.18 -4.47 -0.32
C 0.09 -3.17 0.06
N -0.25 -2.92 1.33
O 0.34 -2.27 -0.77
H 0.09 -6.51 -0.03
H -1.21 -5.63 0.77
H 0.44 -5.61 1.43
H 0.37 -4.60 -1.30
H -0.44 -3.65 1.98
H -0.29 -1.94 1.63
*
```

=====

2.
This record from the Open Molecules 2025 dataset describes C16H19AsClNO6PdS as an isolated structure. The level of theory is ωB97M-V with the def2-TZVPD basis set.

Results
- total energy (Eh) = -4349.3071
- frontier orbital gap (eV) = 6.52

```
! wB97M-V def2-TZVPD RIJCOSX def2/J DEFGRID3
* xyz 0 1
Pd -0.51 -1.41 0.39
Cl -2.17 -0.50 7.37
C -1.55 -0.49 5.75
C -0.54 0.43 5.40
C -0.03 0.46 4.14
C -0.49 -0.42 3.12
O 0.05 -0.31 1.95
C -1.50 -1.36 3.49
C -2.06 -2.33 2.62
O -1.78 -2.56 1.42
C -2.01 -1.36 4.82
H -0.18 1.12 6.15
H 0.73 1.18 3.87
H -2.82 -2.98 3.06
H -2.78 -2.07 5.08
N -1.23 -2.24 -1.35
C -1.40 -1.14 -2.32
C -2.10 0.01 -1.94
C -1.93 1.17 -2.68
C -1.06 1.19 -3.77
C -0.50 0.01 -4.22
C -0.66 -1.16 -3.49
S -0.54 2.78 -4.47
O 0.41 3.23 -3.46
O 0.06 2.44 -5.74
O -1.75 3.57 -4.53
H -0.53 -2.87 -1.74
H -2.09 -2.75 -1.16
H -2.70 0.01 -1.04
H -2.41 2.10 -2.38
H 0.14 0.05 -5.09
H -0.12 -2.06 -3.77
C 3.00 -0.18 1.16
As 2.17 0.29 -0.51
C 3.56 0.17 -1.81
C 1.47 2.05 -0.43
O 0.93 -0.78 -0.91
H 4.06 0.09 1.13
H 2.90 -1.26 1.29
H 2.50 0.33 1.98
H 4.37 0.83 -1.51
H 3.18 0.46 -2.79
H 3.92 -0.86 -1.85
H 2.26 2.77 -0.23
H 0.73 2.07 0.37
H 0.98 2.27 -1.38
*
```
=====

# Wanted
Copy the contents earlier on from the first line to the one with "-0.15 -0.39" without additions.

# Reply
1.
This record from the Open Molecules 2025 dataset describes C34H33Br3CdF4N8O2P as an isolated structure. The level of theory is ωB97M-V with the def2-TZVPD basis set.

Results
- total energy (Eh) = -10534.5253
- frontier orbital gap (eV) = 7.48

```
! wB97M-V def2-TZVPD RIJCOSX def2/J DEFGRID3
* xyz 1 1
Cd 0.42 0.01 -0.40
C 3.83 -0.17 -1.31
C 3.73 -0.16 0.18
C 4.89 -0.12 0.98
C 4.78 -0.11 2.34
C 3.50 -0.13 2.94
C 3.27 -0.16 4.34
Br 4.72 -0.13 5.56
C 2.00 -0.24 4.82
C 0.90 -0.26 3.95
Br -0.83 -0.48 4.67
C 1.03 -0.17 2.57
O 0.02 -0.16 1.76
C 2.39 -0.14 2.07
N 2.54 -0.16 0.72
H 4.77 -0.59 -1.65
H 3.75 0.85 -1.70
H 3.01 -0.75 -1.74
H 5.87 -0.12 0.51
H 5.65 -0.09 2.97
H 1.82 -0.30 5.89
F -7.45 -0.61 1.45
C -6.27 -0.13 1.07
C -5.98 1.21 1.22
F -6.89 2.03 1.74
C -4.75 1.70 0.82
F -4.55 3.01 0.93
C -3.77 0.87 0.28
P -2.13 1.52 -0.25
C -2.63 2.43 -1.76
C -2.53 1.71 -2.95
C -2.91 2.27 -4.15
C -3.39 3.57 -4.19
C -3.51 4.29 -3.01
C -3.15 3.72 -1.80
C -1.71 2.74 1.03
C -1.14 3.97 0.73
C -0.68 4.80 1.74
C -0.76 4.40 3.07
C -1.31 3.16 3.37
C -1.77 2.33 2.36
C -4.10 -0.48 0.11
Br -2.90 -1.68 -0.71
C -5.32 -0.97 0.51
F -5.63 -2.26 0.35
H -2.16 0.69 -2.91
H -2.85 1.69 -5.07
H -3.69 4.02 -5.13
H -3.92 5.30 -3.03
H -3.29 4.28 -0.88
H -1.05 4.30 -0.30
H -0.26 5.77 1.50
H -0.41 5.05 3.86
H -1.36 2.83 4.40
H -2.15 1.35 2.62
C -0.15 -0.39 -5.33